Biden Pushing For Dishonourable Discharges, Court Martials For Troops Who Refuse Vaccines

These materials data were left in the page by mistake
********
[1]
Computed, not measured: TbHo4Tm3 after structural relaxation at the PBE-GGA level of DFT.

abc: 11.1011 7.1842 6.2095
angles: 90.00 90.00 90.00
Space group Pmn2_1 (No. 31)
Unique sites:
Tb (0.0000, 0.1246, 0.0000) (multiplicity 2)
Ho (0.0000, 0.3744, 0.5004) (multiplicity 2)
Ho (0.0000, 0.6255, 0.9987) (multiplicity 2)
Ho (0.2490, 0.6255, 0.3332) (multiplicity 4)
Tm (0.0000, 0.8757, 0.4998) (multiplicity 2)
Tm (0.2500, 0.1246, 0.3330) (multiplicity 4)

Properties
Uncorrected energy   -4.54 eV/atom
Energy of formation   0.0 eV/f.u.
Density of states at the Fermi level   25.50 states/eV/cell
Relative energy among the computed polymorphs   0.000 eV/atom
Density   8.89 Mg/m³


[2]
Computed, not measured: Tb3HoTm8 after structural relaxation at the PBE-GGA level of DFT.

abc: 7.5890 7.5890 15.2002
angles: 90.00 90.00 90.00
Space group I4/mmm (No. 139)
Unique sites:
Tb (0.0000, 0.0000, 0.0000) (multiplicity 2)
Tb (0.0000, 0.5000, 0.2500) (multiplicity 4)
Ho (0.0000, 0.0000, 0.5000) (multiplicity 2)
Tm (0.2504, 0.2504, 0.1248) (multiplicity 16)

Properties
Uncorrected energy   -3.78 eV/atom
Energy of formation   8.9 eV/f.u.
Density of states at the Fermi level   25.01 states/eV/cell
Density   7.56 Mg/m³


[3]
Computed, not measured: TbHoTm3 after structural relaxation at the PBE-GGA level of DFT.

abc: 6.1940 6.6120 9.0678
angles: 72.37 89.98 62.10
Space group P-1 (No. 2)
Unique sites:
Tb (0.0324, 0.1009, 0.1503) (multiplicity 2)
Ho (0.3665, 0.1003, 0.6497) (multiplicity 2)
Tm (0.1668, 0.4992, 0.2504) (multiplicity 2)
Tm (0.2339, 0.6999, 0.5492) (multiplicity 2)
Tm (0.4343, 0.3000, 0.9494) (multiplicity 2)

Properties
Uncorrected energy   -4.52 eV/atom
Energy of formation   0.0 eV/f.u.
Density of states at the Fermi level   17.40 states/eV/cell
Relative energy among the computed polymorphs   0.000 eV/atom
Density   8.95 Mg/m³


[4]
Computed, not measured: Tb8Ho4Tm after structural relaxation at the PBE-GGA level of DFT.

abc: 7.2078 7.2078 27.6351
angles: 90.00 90.00 120.00
Space group R-3m (No. 166, hexagonal axes)
Unique sites:
Tb (0.0000, 0.0000, 0.2141) (multiplicity 6)
Tb (0.0325, 0.5163, 0.7657) (multiplicity 18)
Ho (0.0000, 0.0000, 0.0000) (multiplicity 3)
Ho (0.0000, 0.5000, 0.0000) (multiplicity 9)
Tm (0.0000, 0.0000, 0.5000) (multiplicity 3)

Properties
Uncorrected energy   -4.39 eV/atom
Energy of formation   2.8 eV/f.u.
Density of states at the Fermi level   41.97 states/eV/cell
Density   8.41 Mg/m³


- uncorrected energy of number 2 (Tb3HoTm8)?
  -3.78 eV/atom

* * * * *

[1]
The following is a PBE calculation of a relaxed Tm8InOs2 crystal, from the Alexandria database.

Summary:
E_form (meV/atom): -258
Calculated total energy (eV/atom): -5.80

a = 4.944 Å, b = 6.999 Å, c = 9.047 Å
α = 110.40°, β = 105.85°, γ = 90.00°
Positions (direct):
Tm 0.368 0.820 0.372
Tm 0.557 0.673 0.750
Tm 0.975 0.108 0.586
Tm 0.169 0.570 0.975
Tm 0.291 0.320 0.218
Tm 0.613 0.230 0.864
Tm 0.924 0.508 0.483
Tm 0.763 0.968 0.162
Os 0.447 0.270 0.531
********

Discussion in 'Politics' started by Scataphagos, Sep 23, 2021.

  1. Snarkhund likes this.
  2. elderado


    C'mon, man!

    The CCP gave us the virus, and the CCP is giving Joe instructions on how to weaken our military? And this is a surprise, why?

    Meanwhile, Hunter is getting FUCKING RICH!
    Snarkhund and TreeFrogTrader like this.
  3. gwb-trading


  4. Mercor


    The left thinks all unvaccinated are anti-vaxxers and are Trump white racists
    So with mandating vaccines they really think they are purging society and the military of these people..

**Next to the page, the page also holds crystal structures**
~~~
Entry 1:
# TbClO2 PBE-GGA optimized geometry
# * density: 5.306 g/cm3
# * total moment: 0.7 μB per formula unit
# * ΔE_f (raw): -706.5 kJ/mol of formula units
data_TbClO2
_cell_length_a 6.466
_cell_length_b 3.532
_cell_length_c 6.798
_cell_angle_alpha 90.00
_cell_angle_beta 114.12
_cell_angle_gamma 90.00
_symmetry_space_group_name_H-M 'P 1 21/m 1'
_symmetry_Int_Tables_number 11
_symmetry_space_group_name_Hall '-P 2yb'
loop_
_atom_site_label
_atom_site_type_symbol
_atom_site_fract_x
_atom_site_fract_y
_atom_site_fract_z
_atom_site_occupancy
Tb1 Tb 0.157 0.250 0.279 1
Cl1 Cl 0.487 0.750 0.280 1
O1 O 0.054 0.250 0.906 1
O2 O 0.059 0.750 0.528 1


Entry 2:
# Sr3CdHg PBE-GGA optimized geometry
# * excess energy over the best structure of this formula in the dataset: 0.38 eV/f.u.
# * density: 4.941 g/cm3
# * calculated formation energy: -1.407 eV per formula unit
# * total moment: 0.0 μB per formula unit
data_Sr3CdHg
_cell_length_a 12.660
_cell_length_b 12.567
_cell_length_c 9.737
_cell_angle_alpha 90.00
_cell_angle_beta 91.81
_cell_angle_gamma 90.00
_symmetry_space_group_name_H-M 'C 1 2/c 1'
_symmetry_Int_Tables_number 15
_symmetry_space_group_name_Hall '-C 2yc'
loop_
_atom_site_label
_atom_site_type_symbol
_atom_site_fract_x
_atom_site_fract_y
_atom_site_fract_z
_atom_site_occupancy
Sr1 Sr 0.069 0.118 0.081 1
Sr2 Sr 0.103 0.404 0.913 1
Sr3 Sr 0.246 0.179 0.679 1
Cd1 Cd 0.000 0.146 0.750 1
Cd2 Cd 0.000 0.362 0.250 1
Hg1 Hg 0.218 0.049 0.366 1


Entry 3:
# CaAcAgSe3 PBE-GGA optimized geometry
# * density: 6.109 g/cm3
# * total moment: 0.0 μB per formula unit
# * ΔE_f (raw): -893.0 kJ/mol of formula units
data_CaAcAgSe3
_cell_length_a 8.616
_cell_length_b 4.244
_cell_length_c 9.350
_cell_angle_alpha 90.00
_cell_angle_beta 103.37
_cell_angle_gamma 90.00
_symmetry_space_group_name_H-M 'P 1 21/m 1'
_symmetry_Int_Tables_number 11
_symmetry_space_group_name_Hall '-P 2yb'
loop_
_atom_site_label
_atom_site_type_symbol
_atom_site_fract_x
_atom_site_fract_y
_atom_site_fract_z
_atom_site_occupancy
Ca1 Ca 0.167 0.250 0.163 1
Ac1 Ac 0.310 0.750 0.765 1
Ag1 Ag 0.409 0.750 0.415 1
Se1 Se 0.075 0.250 0.840 1
Se2 Se 0.250 0.250 0.497 1
Se3 Se 0.408 0.750 0.129 1


Entry 4:
# Ce3Pm2SmBi6 PBE-GGA optimized geometry
# * density: 8.575 g/cm3
# * calculated formation energy: -10.412 eV per formula unit
# * total moment: 2.6 μB per formula unit
data_Ce3Pm2SmBi6
_cell_length_a 7.944
_cell_length_b 13.758
_cell_length_c 7.947
_cell_angle_alpha 90.00
_cell_angle_beta 109.47
_cell_angle_gamma 90.00
_symmetry_space_group_name_H-M 'C 1 2/m 1'
_symmetry_Int_Tables_number 12
_symmetry_space_group_name_Hall '-C 2y'
loop_
_atom_site_label
_atom_site_type_symbol
_atom_site_fract_x
_atom_site_fract_y
_atom_site_fract_z
_atom_site_occupancy
Ce1 Ce 0.000 0.000 0.000 1
Ce2 Ce 0.000 0.333 0.000 1
Pm1 Pm 0.000 0.166 0.500 1
Sm1 Sm 0.000 0.500 0.500 1
Bi1 Bi 0.249 0.334 0.750 1
Bi2 Bi 0.249 0.500 0.250 1


Entry 5:
# Rb2YHBr6 PBE-GGA optimized geometry
# * density: 3.755 g/cm3
~~~
**Back to the page**

    But as we know the left always runs over people of color , who pay the price

    Snarkhund likes this.
  5. Sure, but Biden reminds us on a daily basis that his son Beau was at the bombing of Pearl Harbor so he has that military experience. And also, people in his family have died, and no other American can understand what that is like because other families do not have tragedies and people live forever so he is an expert on the military, grief, and foreign affairs.

    Wipe out an entire family and a U.S aid worker with a politically needed missile attack = Keep your job in the military

    Turn the country into the laughing stock of the world as a result of Kabul= Keep your job

    Abandon Americans behind enemy lines while cutting and running = Keep your job in the military.

    Fail to defend American borders as required by the constitution= Keep your job in the military

    Hand over a complete arsenal of modern weaponry to our terrorist enemies= keep your job in the military

    Fail to get a vaccine= Automatic discharge from military.

  6. Not only discharged but done so with disgrace. A dishonorable could cause one great grief over his lifetime. At least with a general discharge there is some doubt as to the merits of your being let go.
    Snarkhund likes this.
  7. Bugenhagen


    Smarten up the military getting shot of the idiots? Maybe they will win a war, wouldn't that be something?
  8. gwb-trading


    Let's remind Scat that refusing an order in the military is grounds for a court martial and dishonorable discharge.

    There have been mandates in the military for vaccinations in for decades. Anyone who refused a vaccine or drug (let's say for clap) in the military was court-martialed and dishonorably discharged. This has been in place for a long time -- the Covid vaccine is just the latest addition to the list of required military vaccines so the U.S. can have an effective fighting force unencumbered by disease.
  9. Snarkhund


    To receive a Dishonorable Discharge you must have done something dishonorable like being convicted of a violent crime in Civilian or Military court.

    It is the outcome reserved for criminals who don't quite reach the level of incarceration in Leavenworth. The worst of the worst get a Dishonorable.

    To apply that to service members who are serving honorably but do not wish to receive the Vax is inappropriate and extreme. It is an expression of malice and a decision to destroy lives.

    If the policy is allowed to be implemented I can see where there would be lots of potential Timmy McVeighs running around.

    I knew an E-4 who lost his shit and smashed up an AIM-7 missile with a mallet while it was hanging on an F-4 in a hangar. He got a General Discharge.

    When I was 18 I went TDY to Germany and my buddy and I were attacked in a bar in Landstuhl with the result that we smashed up the bar, several germans, 2 attack dogs, several cars and a Polizei van. The USAF had to fly me out to England immediately with the Polizei at the main gate of Ramstein demanding we be turned over.

    Result? Letter of Reprimand, no loss of rank or any punitive action. Just to put a Dishonorable Discharge in perspective. Later I got a Good Conduct Medal lol.

    Its malice, pure malice.
    Van_der_Voort_4, Wallet and elderado like this.
  10. gwb-trading


    Let's see what the below article says...

    While "military service members could be dishonorably discharged from service for refusing to get a required vaccine. Our experts say that's one of the harshest punishments, and it's more likely they would face a lower level of disciplinary action."

    Let's read some more...

    The COVID-19 vaccine is hardly the first vaccine that military service members have been required to receive. An Air Force spokesperson told the Verify team that the Department of Defense "requires 17 total vaccines under varying circumstances for its service members."

    The Military Health System website outlines the required vaccines and dosages for military members deployed to different regions of the world, like Typhoid, Anthrax and Yellow Fever. Military Law attorney Mike Hanzel explains that for the most part, vaccine requirements exist for operational readiness; service members need to be prepared to deploy at all times.

    "Historically, militaries don't work if people are not operationally ready and they are not deployable," Hanzel explained. "If Pearl Harbor happens, or 9/11 happens, people need to be ready at a moment's notice to deploy. And if they are sick, they're not going to be ready."

    As for the consequences, both Hanzel and David P. Sheldon, another Military Law attorney, referenced the same section of the Uniform Code of Military Justice: Article 92, which addresses the failure to obey a legal order.

    "In essence, the charge would be you are violating Article 92 by refusing a direct order," Sheldon said. "And the direct order, in this case, would be to get the vaccine."


    There are different levels of military discharge that could come into play here. They can happen via the administrative, or non-judicial, route, or, in the most serious circumstances, from a court-martial.

    On the lightest administrative end, there's an Honorable Discharge. The next level is General Discharge Under Honorable Conditions, in which a member can be denied GI benefits. The most serious administrative discharge is an Other Than Honorable discharge, often reserved for forms of misconduct. Hanzel said these are not necessarily considered punishments, but characterizations.

    If a service member is convicted in a court-martial, that can result in a Bad Conduct Discharge or a Dishonorable Discharge. Those come with the most restrictions to future enlistment and receipt of benefits. Sheldon told the Verify team that while these are technically possible, he believes it unlikely that refusing a vaccine would result in something this severe.

    VERIFY: Yes, military service members who refuse COVID vaccine could be removed from service
    While the consequences for refusing to get the COVID-19 vaccine could be as severe as a court-martial, most service members would face much less.
    #10     Sep 23, 2021